Showing posts with label cross country. Show all posts
Showing posts with label cross country. Show all posts

Thursday, August 21, 2014

Orchard Hill Schooling 3 Phase

Lucy went to a schooling 3-phase at Orchard Hill Equestrian Center in Berlin, MA last weekend and kicked butt.

Things were a little hectic in the morning so the only warmup she got for dressage was 3 minutes of trotting. That's it.

Well she went into her test and had one of the most lovely dressage rounds ever. I have no idea what her score was but to me, she looked really wonderful.

Morgan was thrilled with how things went!
Then she went into her jumping round and had a bit of a flail fest. She really needs studs to jump out on grass. She refused the B jump in an A/B combination and Morgan brought her back around, jumped the B jump perfectly, and then was dq'd for not jumping the A and the B jumps. Apparently you have to jump the whole combination again, not just the jump you missed.

Here are some shots from the warmup:

all 4 feet off the ground, and game faces on

This whole venue is on a massive hill; here Morgan was explaining how
to get to the actual jumping ring from the warmup ring

Lucy is a hot tamale warming up, then walks through the woods on the buckle
by herself to get to her jumping round. Go figure.

On course!

They were able to go out and do XC as a schooling opportunity and Lucy was the best she has ever been on XC. She ran out of one jump that was up a steep hill but cruised around the rest of the course. She was in her element!! Morgan was thrilled with her performance. Yes it was a bummer they got disqualified, but they made the best out of the situation and everyone went home happy.

I was really pleased that I got to watch her go at this event. I was in the area visiting my parents and my mum watched Hannah for me so that I could go baby-free. I took Cairo instead, who of course was perfectly behaved, and we had a nice time spectating.

Another cool thing about this event is that Morgan took her new pony, Zen, whom she found chilling out in someone's back yard. Zen is loving her new life as an event pony. This was her first event ever, and her rider's first event ever, and they completed and had a great day! Here they are warming up, though Zen thinks she's warming up for prelim, not elementary:

Sunday, July 27, 2014

Grinding my Gears

Boy, horses sure do keep us humble, huh?

After Lucy's super XC schooling round that I last updated about, she went to an unrated schooling 3-phase at Azrael Acres in Uxbridge, MA. In true Lucy fashion, she walked right out of a hind shoe getting on the trailer, but the foot looked perfect and she didn't seem to care, so they opted to go ahead with the show plans. Dressage went better than it ever has, with some beautiful moments. Overall still kind of a tense test, but miles ahead of where she came from.

## The text is interrupted by calculated crystals
# 1
Structure and theoretical powder diffraction line list of Th3Co2Re (the PBE geometry in OQMD; λ = 1.5418 Å (Cu Kα)).
No peak broadening, texture or thermal motion is included.

Structure:
a = 3.9750 Å, b = 3.9750 Å, c = 8.1206 Å
α = 90.00°, β = 90.00°, γ = 90.00°
Space group P-4m2 (No. 115)
Asymmetric unit:
Th  0.0000  0.0000  0.0000
Th  0.0000  0.5000  0.6496
Co  0.0000  0.5000  0.2860
Re  0.5000  0.5000  0.0000

Peak list (6 most intense, 2θ from 10° to 80°, by angle)
| hkl | d [Å] | 2θ (°) | I/Imax |
| --- | --- | --- | --- |
| 1 0 2 | 2.840 | 31.50 | 34 |
| 0 0 3 | 2.707 | 33.09 | 45 |
| 1 1 1 | 2.656 | 33.74 | 100 |
| 1 1 2 | 2.311 | 38.97 | 60 |
| 2 0 0 | 1.987 | 45.65 | 43 |
| 2 0 3 | 1.602 | 57.53 | 38 |

=====

# 2
Structure and theoretical powder diffraction line list of Zr2CoRe (the PBE geometry in OQMD; λ = 1.5418 Å (Cu Kα)).
No peak broadening, texture or thermal motion is included.

Structure:
a = 6.4256 Å, b = 6.4256 Å, c = 6.4256 Å
α = 90.00°, β = 90.00°, γ = 90.00°
Space group F-43m (No. 216)
Asymmetric unit:
Zr  0.0000  0.0000  0.0000
Zr  0.2500  0.2500  0.2500
Co  0.2500  0.2500  0.7500
Re  0.0000  0.0000  0.5000

Peak list (6 most intense, 2θ from 10° to 80°, by angle)
| hkl | d [Å] | 2θ (°) | I/Imax |
| --- | --- | --- | --- |
| 1 1 1 | 3.710 | 23.99 | 12 |
| 2 0 0 | 3.213 | 27.77 | 10 |
| 2 2 0 | 2.272 | 39.67 | 100 |
| 3 1 1 | 1.937 | 46.90 | 6 |
| 4 0 0 | 1.606 | 57.36 | 17 |
| 4 2 2 | 1.312 | 72.00 | 33 |

=====

Repeat the first record exactly.
Structure and theoretical powder diffraction line list of Th3Co2Re (the PBE geometry in OQMD; λ = 1.5418 Å (Cu Kα)).
No peak broadening, texture or thermal motion is included.

Structure:
a = 3.9750 Å, b = 3.9750 Å, c = 8.1206 Å
α = 90.00°, β = 90.00°, γ = 90.00°
Space group P-4m2 (No. 115)
Asymmetric unit:
Th  0.0000  0.0000  0.0000
Th  0.0000  0.5000  0.6496
Co  0.0000  0.5000  0.2860
Re  0.5000  0.5000  0.0000

Peak list (6 most intense, 2θ from 10° to 80°, by angle)
| hkl | d [Å] | 2θ (°) | I/Imax |
| --- | --- | --- | --- |
| 1 0 2 | 2.840 | 31.50 | 34 |
| 0 0 3 | 2.707 | 33.09 | 45 |
| 1 1 1 | 2.656 | 33.74 | 100 |
| 1 1 2 | 2.311 | 38.97 | 60 |
| 2 0 0 | 1.987 | 45.65 | 43 |
| 2 0 3 | 1.602 | 57.53 | 38 |

I was very worried about both jumping phases. Lucy's division was first, so the ground was still quite wet from the night before, and they were both on slick grass. I know how sensitive she is about her feet and I was worried she wouldn't feel secure with one missing hind shoe and not a lot of traction.

Sadly, I was spot on. She had a very tough time getting around SJ and after three XC jumps, told her rider that she was done. We were all so disappointed, but not really in Lucy, just in general.

One XC jump from faaaarrr away

Morgan went back to basics that week, rebuilding Lucy's confidence. They went to Apple Knoll to school in the jumper show on Wednesday and did 2'9" and 3'. Lucy jumped very well. She has never jumped under the lights but she did that day, and it didn't phase her! She had a rail in the jump off in the 2'9" class and just missed the ribbons because of it, and the height in the 3' class surprised her a bit so she pulled two rails very early on, but jumped clean the last half of the class (funny how you actually have to pay attention at 3', horse!) so overall I was very very happy about all of that.

The day after that, they went XC schooling and while it started out great, Lucy got combative with her rider, E, and E kind of decided enough was enough, and got off. I don't blame her. Morgan got on and schooled Lucy and Lu did a lot better. They made the decision that Morgan would ride her at Valinor this weekend, not E, and they dropped her from Novice to BN. I was totally on board with that idea. BN set Lucy up for success, not failure. I was very hopeful that it would be a great event. Plus, it was set to be her first rated show!

Then Morgan found her in her stall with a giant swollen knee this morning. UGH how frustrating!!! So she's scratched for the day and Morgan cold-hosed her. She's a bit ouchy at the walk but sound at the trot. Morgan thinks it may be a bee sting or other insect related injury. Fingers crossed that it goes down asap.

On a happier note, have some Hannah and Cairo pictures:

Sunday, November 17, 2013

another great day!

First, I actually succeeded in getting Kenny to the barn in a somewhat clean ensemble, with the dog; and also I managed to clean the 2" of dirt off Lucy that I found her covered in this morning. I even had to shampoo her legs - they were disgusting!

Maddy took the photo for me and..drumroll please....

everyone's looking (kind of) at the camera!!! SUCCESS!!!
Then I tacked up and had another super ride, and this time, I got photos!

YAY! Good pony! I should go buy a lottery ticket or something.

Then Amanda got on for a few minutes:

AND she got to ride Merlot the dreamliner.

Then Maddy got really brave and decided to jump Brantley over one of the XC fences:

So all in all, it was an A+++++ day and everyone had a super time!

Monday, October 8, 2012

Hunter Pace and Event Report

I've got to hand it to Lulu. She was superb this weekend.

Tyrone Farm Hunter Pace

On Sunday, my barn owner and I went to the Tyrone Farm Hunter Pace in Pomfret, CT. Lucy and I went to this one last year, too, and the footing was unfortunately just as horrific as it was a year ago! The mud was awful! We decided that if we both stayed on and the horses both came home with four shoes each, we'd be happy. Well, both those things came true but two other horses from our barn ended up lame this morning because of the conditions. Prudy and I were pretty careful and walked whenever we came upon bad mud, but even with just walking, the horses had to really labour at times to get through the mud. We were also very selective about what we jumped because some jumps had very slick footing on either side.

Lucy was hot, hot, hot. I had a LOT of horse under me at the hunter pace and I was so glad I used the Kimberwicke. She had a few tantrums and wanted to get silly after jumps, but she settled down about halfway through and used her energy to think and not leap around. We had to go up a LOT of hills and she used her hind end quite a lot!

Prudy and I somehow managed to get 9th place in our division and we were awarded the most beautiful silver ribbons! I was thrilled.

The forecast for the day had been lots of rain, but it turned out to be sunny and beautiful right up to the awards ceremony, and then the clouds thickened and it started sprinkling. We were in the truck snuggled up in our heated seats, ponies happily munching hay in the trailer as the rain really started coming down. We couldn't have had better timing!

Lucy loaded on the trailer in perfect form to go to the pace and to go home. Once back home, I wrapped her legs and fed her dinner. She was all tucked in for the night and I went home to get ready for today's event!

Valinor Farm Schooling Horse Trial

6am came waaaaay too fast today, but my alarm begged to differ. I got up, got ready, went to the barn and did all my barn chores, packed the last few things on the trailer, and got Lucy. She took one look at the trailer and was like, OH HELL NO. But she quickly came around and got right on. I was very happy with her!

We got to Valinor in time to check in and mosey around before tacking up. Lucy stood like an angel tied to the trailer, which was a first for us. I have been working with her on tying to things and she has been so good that I decided to try tying her to the trailer. She was very quiet and stood nicely while I brushed her and tacked up. We had started the day off on the right foot!

Lucy warmed up pretty well for dressage. She got a little excited at the canter but quieted down when I pushed her forward. I felt confident going into our test, but as soon as she got in the ring she tensed up and we had a rather unrelaxed test. Still, it was a vast improvement on our last test! She was obedient except for one canter. Our downward transitions were much much better and I was pleased that all our hard work has paid off at least a little bit. The final halt was nice too! The judge gave us a 47, which was probably fair, but I hope we can really improve over the winter and do better next year.

We had a ton of time between dressage and stadium, so we untacked the horses and put them on the trailer to relax while we walked the course and got organized. When it was time, we unloaded the horses and tacked them up, and then went down to the warm-up ring. It was INSANE. I stand by my mantra that the warm-up ring is the scariest thing about the whole show!! There were probably 10-15 horses in there zooming around in all directions, people were jumping the jumps the wrong way, and Lucy developed a particular aversion to this one little Haflinger that sounded like a mack truck cantering around. The horse passed us very closely and Lucy had a tantrum...sigh. At that point I just let her walk around and take a breather. Soon the person at the gate called my number and I was relieved that I could get out of the warm-up ring!!

Stadium went GREAT. We trotted about 50% of the time, which was my plan to begin with. The jumps were in an outdoor grass ring that had some pretty good-sized hills in it! It looked very challenging but Lucy handled everything so well. We jumped clean and I didn't forget any of them. PHEW. I was feeling so happy.

We went straight to XC and Lucy calmly walked into the start box on a loose rein. I have seen so many horses that look at a start box and lose their marbles, so I have very consciously NOT made a big deal of it. Everyone standing around remarked on how calm she seemed. They counted down from 10 and when they said "ok go!", I picked up the reins and we walked out onto the course. We picked up a little trot and went to our first fence! I was having a great time, and Lucy seemed happy and confident.

We got through the first half of the course with no issues, but we had to trot down a windy, hill path that opened out into a clearing with a jump. She refused it twice :( But I was determined not to be dq'd again so I got after her and we got over it on attempt #3. After that it was clear sailing and we had a blast!

I was so happy and relieved to cross that finish line that I threw one hand in the air and said, "WE DID IT!" Prudy was up waiting for me at the finish line and we congratulated each other, then happily walked back to our waiting friends and family. We were both on cloud 9.

I finished in 7th place, just out of the ribbons, but I was just so pleased with Lucy and also proud of myself for getting out there, getting her over that one "scary" jump on XC and narrowly missing getting disqualified, surviving dressage and improving on our last score, and of course staying in the saddle ;)

We met all our goals and overall I couldn't have asked for a better day!

Here are some photos:

dressage warm up (the test was in and indoor and we didn't get any
good shots)

Kenny came to support me and was such a big help.

in the stadium warm-up ring


cantering around like a lady, my barn owner and her horse Merlot
behind us

Merlot is so handsome! He and Lucy are in love.

ahh yes, there's the tail

a quiet moment in the ring; I took advantage and did a little jump

Prudy and Merlot showing off!

Lucy and I out doing our thing :)

the jumps were so tiny she basically cantered over them

all done! I was giving her a huge pat and saying good girl!

Prudy and Merlot showing off again. He is so fancy!

in the start box. she looks WILD, huh? :)

off to the first jump, a very inviting log

up a nice big hill to the second area of jumps

Prudy and I returning from XC, all smiles!

go team!

I love this shot, we both look so happy.

she was exhausted, but what a sweet face.
